By 2028, 73% of all departments in a wide range of industries are expected to have remote workers. This represents a huge shift, not just for the businesses themselves, but for the property developers, sellers and managers who have the challenge of rethinking workspace.

For many organisations, now the remote working ‘toothpaste is out of the tube’, there is no going back. But as more people get vaccinated, business leaders and employees are thinking ahead to what’s next.

== Between two parts of the page: quantum chemistry results ==
'''
1.
The following is a DFT calculation (ωB97M-V/def2-TZVPD) of a single C16H23O3P molecule.

Calculated values
Highest occupied orbital energy   -9.1 eV
SMILES string   CCO[P@](=O)(C#CC(C)(C)C)[C@@](C)(O)c1ccccc1
Spin multiplicity   1
Calculated total energy   -1190.55853 hartree
Energy relative to the best compared isomer or geometry (same formula, charge and spin)   9.7 kJ/mol
Orbital gap   9.8 eV
Lowest unoccupied orbital energy   0.614 eV

```
43
Properties=species:S:1:pos:R:3:forces:R:3
C -0.10993 3.41366 -0.65578 0.137 -0.038 0.255
C 0.44479 3.54316 0.75067 -0.416 0.634 -0.232
H -0.37892 3.61755 1.46617 0.179 0.012 -0.029
H 1.07574 4.43471 0.83604 -0.143 -0.136 0.011
O 1.29734 2.47289 1.12672 -0.004 -0.668 0.003
P 1.11648 0.89575 1.00511 -0.466 0.625 -0.344
O 2.29333 0.25988 1.58905 0.276 -0.616 0.198
C 0.81173 0.46816 -0.68767 0.238 0.124 0.482
C 0.58251 -0.02710 -1.76040 0.097 0.354 0.260
C 0.29009 -0.58484 -3.07139 -0.078 -0.217 -0.278
C 1.15036 0.12046 -4.12577 -0.014 0.001 0.115
H 0.92552 1.18458 -4.15211 -0.003 0.089 -0.023
H 0.95361 -0.30189 -5.10895 -0.036 -0.055 -0.093
H 2.20660 -0.00223 -3.89754 0.091 0.000 -0.012
C -1.19935 -0.37503 -3.36941 0.064 0.005 0.053
H -1.44107 0.68572 -3.37944 -0.042 0.088 -0.011
H -1.44749 -0.79874 -4.34027 -0.011 -0.049 -0.111
H -1.80585 -0.86131 -2.60865 -0.074 -0.035 0.039
C 0.61432 -2.08297 -3.03100 -0.015 0.037 0.021
H 1.66635 -2.23697 -2.80260 0.093 -0.041 0.007
H 0.39369 -2.53823 -3.99430 -0.025 -0.039 -0.117
H 0.02241 -2.57659 -2.26282 -0.040 -0.054 0.041
H -0.78943 2.56699 -0.70353 -0.094 0.021 -0.125
H 0.69856 3.26040 -1.36693 0.013 0.016 -0.115
H -0.65020 4.32028 -0.91718 -0.056 0.098 -0.015
C -0.49321 0.40126 1.83575 0.595 0.149 0.002
C -0.85940 -0.93982 1.25276 -0.195 -0.165 -0.006
C -0.01478 -2.02905 1.43632 -0.065 -0.083 0.089
C -0.31498 -3.25044 0.86277 0.028 -0.081 0.002
C -1.46135 -3.40363 0.10017 -0.012 -0.089 -0.060
C -2.30147 -2.32199 -0.09330 -0.071 -0.055 -0.018
C -1.99878 -1.09649 0.47416 -0.044 0.137 0.063
H -2.64734 -0.25154 0.29161 0.005 0.053 -0.016
H -3.19523 -2.42880 -0.69179 -0.065 -0.011 -0.041
H -1.69441 -4.35914 -0.34668 -0.014 -0.079 -0.029
H 0.35225 -4.08699 1.00771 0.064 -0.069 0.022
H 0.88985 -1.91490 2.01113 0.154 0.017 0.057
O -1.44256 1.40540 1.52458 -0.211 0.102 -0.078
H -2.25277 1.21727 2.01606 0.059 0.008 -0.024
C -0.24046 0.34634 3.33807 0.129 0.093 -0.064
H -0.02782 1.35203 3.70035 0.015 0.008 0.047
H 0.62203 -0.27841 3.54961 0.024 -0.068 0.108
H -1.11066 -0.05052 3.86291 -0.069 -0.023 -0.034
```
Positions in Å, forces in eV/Å.



2.
The following is a DFT calculation (ωB97M-V/def2-TZVPD) of C16H24As2BN4Pt as an isolated structure.

Calculated values
Highest occupied orbital energy (alpha / beta)   -10.3 / -10.3 eV
Spin multiplicity   1
Calculated total energy   -5458.33262 hartree
Energy relative to the best compared isomer or geometry (same formula, charge and spin)   108.1 kJ/mol
Orbital gap (alpha / beta)   3.6 / 3.6 eV
'''
== So much for the quantum chemistry results ==

So how do you balance the productivity and work-life balance gains of working remotely, with the need to collaborate and be social?

The traditional office might be a dying breed. The future could well lie in collaborative office hubs and office-space-a-as-service models like WeWork and Hubble, which give businesses far greater degrees of flexibility around how their space is used day to day. 

Leaving behind rigid contracts and working arrangements, these kinds of spaces give businesses on-demand access to the spaces and services they need, when they need it - think of the new office more like a full service hotel.

Not only that, but the new ‘hybrid’ state of working demands adaptable designs and services that inspire creativity and teamwork, that reflect their culture and foster a sense of community lost during the pandemic. 

The design of communal spaces, meeting rooms and presentation areas for different types of gatherings, dynamic work areas and amenities with wellness and inclusivity in mind - these are all factors that make workers feel welcome, productive and connected to others.


Salesforce for the Property Industry

The Property industry, by definition, is a bricks-and-mortar environment, but now prospective buyers and tenants expect.

Transform around your customer and embrace the new wave of working 

In this new world of spatial development the underlying mantra is flexibility - the flexibility to understand customer needs as they evolve. 

To meet these demands, the property development industry needs to:


1. Take a joined-up approach to service design.

Connectivity to wider services, especially those that support local businesses, is an essential part of turning an office space into a community.  


2. Constantly think about how they can bring experiences that are creative and bold, and make the commute worthwhile. 

Think add-ons and perks, and brilliant ways to engage and inspire performance that will differentiate them above their peers.


3. Design spaces and services intelligently, driven by reliable data insights.

Data can help property developers build stronger relationships with users, bringing them closer to their customers.


Salesforce is ready to support the property development industry with the insights and innovation they need to jump start their transformation and stay relevant.

As key technology partners, we help them bridge the gap between old delivery models and new customer expectations. 

Our platform has customer-centricity built in. In the property development industry, this means being able to use dynamic data insights to understand and connect with customers in ways that are more personal and informed than ever thought possible, and proactively meet their needs.

They can turn office spaces and services into a rich range of experiences, and build communities of loyal clients who work better, perform better and grow.


To see how my team can support you in the property industry please read our 'Salesforce for the Property Industry' ebook or contact us for a demonstration.



Salesforce for the Property Industry

The Property industry, by definition, is a bricks-and-mortar environment, but now prospective buyers and tenants expect.